




Today I had a strange encounter with gcc. consider the following code:

float len[ELEM+1];
len[1]=1.0; len[2]=2.0; len[3]=3.0;                                 //length

nod[1][1] = 1;
nod[1][2] = 2;
nod[2][1] = 2;
nod[2][2] = 3;
nod[3][1] = 3;
nod[3][2] = 4;                //CONNECTIVITY

/* blah blah.........*/

And a variation:

float len[ELEM+1];
len[1]=1.0; len[2]=2.0; len[3]=3.0;                                 //length

nod[1][1] = 1;
nod[1][2] = 2;
nod[2][1] = 2;
nod[2][2] = 3;
nod[3][1] = 3;
nod[3][2] = 4;                //CONNECTIVITY

• What comes next are materials data, not part of the piece:
'''
TmZnInO4: relaxed, PBE.

Geometry as POSCAR:
```
TmZnInO4
1.0
-3.723 -4.252 0.125
4.258 -0.350 3.702
-3.694 3.368 4.567
Tm Zn In O
2 2 2 8
Direct
0.500 0.500 0.500
0.500 0.500 0.000
0.157 0.843 0.250
0.843 0.157 0.750
0.842 0.158 0.250
0.158 0.842 0.750
0.243 0.251 0.750
0.749 0.757 0.750
0.731 0.269 0.990
0.731 0.269 0.510
0.269 0.731 0.010
0.269 0.731 0.490
0.757 0.749 0.250
0.251 0.243 0.250
```

Output
Its space group is Cmcm (63). The raw total energy comes out at -87.10 eV per cell. As for the uncorrected formation energy: -2.1765 eV/atom.

---

CoBiI2: relaxed, PBE.

Geometry as POSCAR:
```
CoBiI2
1.0
3.844 -2.389 2.928
-1.160 -4.393 2.901
1.932 -4.805 -1.495
I Co Bi
2 1 1
Direct
0.250 0.250 0.250
0.750 0.750 0.750
0.000 0.000 0.000
0.500 0.500 0.500
```

Output
Its polymorph energy (0 for the lowest one) is 621 meV per atom. Its space group is Fm-3m (225). The raw total energy comes out at -10.98 eV per cell. As for the uncorrected formation energy: 0.7766 eV/atom. As for the density of states at the Fermi level: 7.1 states/eV/f.u.

---

LaThTeP: relaxed, PBE.

Geometry as POSCAR:
```
LaThTeP
1.0
-3.660 1.783 -1.050
0.132 -4.070 1.048
1.188 2.025 7.713
La Th Te P
1 1 1 1
Direct
0.108 0.952 0.076
0.495 0.146 0.656
0.973 0.385 0.373
0.301 0.548 0.865
```

Output
Its space group is R3m (160). The raw total energy comes out at -26.88 eV per cell. As for the uncorrected formation energy: -1.4946 eV/atom. As for the density of states at the Fermi level: 0.9 states/eV/f.u.

---

PmIn3Au4: relaxed, PBE.

Geometry as POSCAR:
```
PmIn3Au4
1.0
-2.874 -3.308 1.680
-1.954 -3.113 -2.918
5.662 -7.841 0.799
In Au Pm
3 4 1
Direct
0.250 0.250 0.250
0.750 0.750 0.750
0.500 0.500 0.500
0.875 0.875 0.376
0.387 0.387 0.838
0.125 0.125 0.624
0.613 0.613 0.162
0.000 0.000 0.000
```

Output
Its space group is R-3m (166). The raw total energy comes out at -29.35 eV per cell. For the formation energy, the calculation gives -0.4088 eV per atom. As for the density of states at the Fermi level: 2.4 states/eV/f.u.

---

Pm5Er4Tl: relaxed, PBE.

Geometry as POSCAR:
```
Pm5Er4Tl
1.0
5.929 0.000 0.000
2.965 7.522 0.000
2.965 0.000 7.522
Pm Er Tl
5 4 1
Direct
0.762 0.375 0.000
0.138 0.000 0.625
0.762 0.000 0.375
0.138 0.625 0.000
0.665 0.000 0.000
0.465 0.321 0.679
0.786 0.679 0.679
0.144 0.321 0.321
0.465 0.679 0.321
0.186 0.000 0.000
```

Output
Its polymorph energy (0 for the lowest one) is 156 meV per atom. Its space group is I4mm (107). The raw total energy comes out at -42.66 eV per cell. For the formation energy, the calculation gives 0.1714 eV per atom. As for the density of states at the Fermi level: 14.2 states/eV/f.u.

---

GdDyYTl: relaxed, PBE.

Geometry as POSCAR:
```
GdDyYTl
1.0
5.487 0.000 0.000
2.743 4.752 0.000
2.743 1.584 4.480
Y Tl Gd Dy
1 1 1 1
Direct
0.750 0.750 0.750
0.500 0.500 0.500
0.250 0.250 0.250
0.000 0.000 0.000
```

Output
'''
• So much for the materials data:

len[1]=1.0; len[2]=2.0;

/* blah blah.........*/

The only difference is highlighted in bold.The problem is this: When length is later printed, the first code prints len[1] and len[2] (and uses them in expressions) as 0.0000 while the second code is printing and using the correct values of those variables.

What's wrong? I'm utterly confused.:-o

Note: len is not modified anywhere else.

+8  A: 

You need to show us the definitions for nod. There's a good chance (based on the fact you're starting arrays at 1, not 0) that you're overwriting memory.

For example, if nod is defined as:

int nod[3][2];

the possible array subscripts are 0-2 and 0-1, not 1-3 and 1-2:

nod[0][0]   nod[1][0]   nod[2][0]
nod[0][1]   nod[1][1]   nod[2][1]

If that is the case, you're memory is almost certainly being over-written, in which case all bets are off. You could be corrupting any other piece of data.

If len is placed in memory immediately following nod, this memory overflow would explain why it's being changed. The following diagram will (attempt to) illustrate this. Let's say your nod definition is:

int nod[3][2];

but you attempt to set nod[1-3][1-2] instead of nod[0-2][0-1]:

+0000 | nod[0][0] |
+0004 | nod[0][1] |
+0008 | nod[1][0] |
+000c | nod[1][1] |
+0010 | nod[2][0] |
+0014 | nod[2][1] |
+0018 |   len[0]  | and nod[3][0], should you be foolish enough to try :-)
+001c |   len[1]  | and nod[3][1] *
+0020 |   len[2]  | and nod[3][2] *

C/C++ will not check regular array bounds for overflow. So, if you attempt to set nod[3][something-or-other], you'll find yourself in trouble very similar to what your question describes.

The bit patterns you're using (3 and 4) equate to IEEE754 single-precision 4.2x10-45 and 5.6x10-45 respectively so they'd certainly give 0.0000 when printing (since you don't appear to be using a format string which would give you the more precise value).

A good way to test this theory would be to output the len variables immediately before and after setting the relevant nod variables, something like:

printf ("before: len1 = %f, len2 = %f\n", len[1], len[2]);
nod[3][1] = 3;
nod[3][2] = 4;
printf ("after : len1 = %f, len2 = %f\n", len[1], len[2]);

Actual details as to how the variables are laid out in memory may be different to that described above but the theory still holds.

Two possible solutions if that turns out to be the problem.

  • Use zero-base arrays as C/C++ intended; or
  • Define them with enough space to handle your unusual use, such as int nod[4][3].
Agreed. I added 1 for every declaration *(as in float len[ELEM+1];)* to account for start value as 1. But the culprit turned out to be in #define of NODE (nod is float nod[NODE+1][3]) itself. It was one less than intended. :( Thanks for your detailed explanation. :)

You certainly have a buffer overwrite. Check your boundaries, you don't provide any array size in your example, making us unable to say more than that.

If you'using C++, try to replace your arrays by std::tr1::array or boost::array (they are the same), that will give you some clues.


You can try setting a watchpoint in gdb to see when len is being modified. Make sure to compile your program with debug information (-g) and no optimization (-O0). Then, set a breakpoint near the declaration of len, add a watchpoint with watch len[0], and run. gdb will break whenever len[0] is modified, and it will tell you the new and the old value.

Adam Rosenfield